Brexit is a battle of two different political agendas, argues MARY HONEYBALL. Remainers are battling to save the soul of Britain.
Brexit is more than leaving the European Union – it’s the battle for the soul of Britain and ‘Super Saturday’ could not have provided a starker contrast about what is at stake.
## Unrelated to this entry: calculated crystals
1.
Sr5Cd2Ga | Alexandria | GGA-PBE | optimized geometry; SG = Pbam; magnetic moment = 0.0 μB per formula unit; E = -1.900 eV/atom
1.0
7.477 0.000 0.000
0.000 14.185 0.000
0.000 0.000 5.605
Sr Cd Ga
10 4 2
direct
0.000 0.000 0.000
0.131 0.284 0.000
0.167 0.598 0.500
0.333 0.098 0.500
0.369 0.784 0.000
0.500 0.500 0.000
0.631 0.216 0.000
0.667 0.902 0.500
0.833 0.402 0.500
0.869 0.716 0.000
0.130 0.858 0.500
0.370 0.358 0.500
0.630 0.642 0.500
0.870 0.142 0.500
0.000 0.500 0.000
0.500 0.000 0.000

***

2.
Sr2Cd6Ga3 | Alexandria | GGA-PBE | optimized geometry; SG = P-62m; magnetic moment = 0.0 μB per formula unit; E = -1.899 eV/atom
1.0
8.405 0.000 0.000
-4.203 7.279 0.000
0.000 0.000 4.547
Sr Cd Ga
2 6 3
direct
0.333 0.667 0.000
0.667 0.333 0.000
0.000 0.295 0.500
0.000 0.799 0.000
0.201 0.201 0.000
0.295 0.000 0.500
0.705 0.705 0.500
0.799 0.000 0.000
0.000 0.622 0.500
0.378 0.378 0.500
0.622 0.000 0.500

***

3.
SrCd2Ga6 | Alexandria | GGA-PBE | optimized geometry; SG = P6/mmm; magnetic moment = 0.0 μB per formula unit; E = -2.486 eV/atom
1.0
8.038 0.000 0.000
-4.019 6.961 0.000
0.000 0.000 3.565
Sr Cd Ga
1 2 6
direct
0.000 0.000 0.000
0.333 0.667 0.000
0.667 0.333 0.000
0.000 0.343 0.500
0.000 0.657 0.500
0.343 0.000 0.500
0.343 0.343 0.500
0.657 0.000 0.500
0.657 0.657 0.500

***

4.
Sr2CdGa | Alexandria | GGA-PBE | optimized geometry; SG = Immm; magnetic moment = 0.0 μB per formula unit; E = -1.420 eV/atom
1.0
-1.926 3.266 6.628
1.926 -3.266 6.628
1.926 3.266 -6.628
Sr Cd Ga
2 1 1
direct
0.242 0.242 0.000
0.758 0.758 0.000
0.500 0.500 0.000
0.000 0.000 0.000

***

Number 1: ΔH_f (0 K) -0.242 eV per atom. Number 2: ΔH_f (0 K) -0.269 eV per atom. Number 3: ΔH_f (0 K) -0.078 eV per atom. Number 4: ΔH_f (0 K) 0.407 eV per atom.

----------

[1]
## Here the entry continues
On the one hand, an estimated one million peaceful protestors against Brexit, and in favour of a People’s Vote, made their views and their presence known across central London. Meanwhile, the House of Commons rang with passion on both sides, for and against membership of the EU.
Those who do not want to leave the EU wish Britain to continue moving towards equality of opportunity, protections for people at work including health and safety, statutory maternity leave and paid holidays together with effective action on climate change. It is a progressive mindset with the European social model at its core, which seeks fairness and balance together with international co-operation.
The Leavers have a very different views of the world. Their models are Donald Trump’s America and Singapore, as founded by Lee Kuan Yew – small state countries with a supposedly thriving entrepreneurial culture where the winner takes virtually everything. Countries which follow this path are inevitably divided according to income and along racial lines. They do little to protect their populations and spend the bare minimum on health and social welfare.
As we are only too aware, these two starkly different political agendas have polarised British politics. They have been disguised as a simple argument about whether you are for or against the EU.
Brexit is not only about Britain’s membership of the EU. Crucially, it is about how the British nation sees itself, the kind of country it wishes to be and the way in which it views itself in relation to other countries, particularly the big power blocs of the United States, India and China.
Brexit is not and never has been about being a citizen of nowhere or a citizen of somewhere, or even a have or a have-not. Brexit is about whether Britain maintains its EU membership thereby signing up to the European model, believing in a better future for all where health and welfare are prioritised and people have rights and benefits at work. The alternative is all that goes, with only lightly regulated capitalism left – low wages, precarious working conditions and little regulation for those who run the system.
Yet it is more than just who runs the country and the way they do it. If Britain were to leave the European Union, it would soon become clear that the country would have to make trade and diplomatic alliances elsewhere. The only alternative to the EU is the United States. A UK-USA free trade deal has been talked about at length. This would undoubtedly mean the USA would make strong and speedy inroads into the British market to the extent that the American pharmaceutical companies would undermine the National Health Service.
It is a clear choice between safety with Europe, together with a strong role in its collective foreign policy, compared to a takeover by the USA. The American way has powerful forces on its side. The Daily Mail and the Daily Express are just two of its leading proponents. They are clear and forthright, making their case forcefully and continuously.
The pro-Europeans do not have such strong and consistent voices putting the political, social and economic case for EU membership. We must develop our message and make it as strong as the millions of people who support us. We must ensure that Saturday’s marchers did not protest in vain.